Please count the lines below that contain the word "Intensities" and give the number alone.

=====
Starting from the PBE geometry in Alexandria, the powder X-ray diffraction pattern of ZrScMo was simulated for a wavelength of 1.5418 Å.
Intensities are scaled so that the largest is 100.

Top 10 peaks for 2θ = 15–90°, sorted by position:
two_theta  intensity
35.31  30
36.99  100
38.24  19
45.30  13
53.03  14
53.58  9
64.48  18
65.81  9
68.31  10
78.75  9

Crystal structure
```
ZrScMo
1.0
3.421 0.000 0.000
0.000 5.084 0.000
0.000 0.000 14.120
Zr Sc Mo
4 4 4
Direct
0.000 0.000 0.000
0.000 0.500 0.500
0.500 0.000 0.500
0.500 0.500 0.000
0.000 0.000 0.302
0.000 0.500 0.802
0.500 0.000 0.802
0.500 0.500 0.302
0.000 0.000 0.648
0.000 0.500 0.148
0.500 0.000 0.148
0.500 0.500 0.648
```



Starting from the PBE geometry in Alexandria, the powder X-ray diffraction pattern of ZrScMo was simulated for a wavelength of 1.5418 Å.
Intensities are scaled so that the largest is 100.

Top 10 peaks for 2θ = 15–90°, sorted by position:
two_theta  intensity
34.33  100
39.72  17
41.51  64
51.64  10
56.33  23
63.83  10
67.66  13
71.13  17
72.35  12
77.87  9

Crystal structure
```
ZrScMo
1.0
3.266 0.000 0.000
-1.633 2.829 0.000
0.000 0.000 6.807
Zr Sc Mo
1 1 1
Direct
0.000 0.000 0.000
0.333 0.667 0.596
0.667 0.333 0.288
```



Starting from the PBE geometry in Alexandria, the powder X-ray diffraction pattern of Mo9Se11 was simulated for a wavelength of 1.5418 Å.
Intensities are scaled so that the largest is 100.

Top 10 peaks for 2θ = 15–90°, sorted by position:
two_theta  intensity
28.76  32
29.45  26
32.11  21
36.16  27
38.34  33
42.01  43
43.88  100
44.40  26
50.27  21
53.17  19

Crystal structure
```
Mo9Se11
1.0
9.565 0.000 0.000
-4.782 8.283 0.000
0.000 0.000 12.242
Mo Se
18 22
Direct
0.161 0.645 0.061
0.161 0.645 0.439
0.178 0.498 0.250
0.320 0.822 0.250
0.355 0.516 0.061
0.355 0.516 0.439
0.484 0.839 0.061
0.484 0.839 0.439
0.498 0.320 0.750
0.502 0.680 0.250
0.516 0.161 0.561
0.516 0.161 0.939
0.645 0.484 0.561
0.645 0.484 0.939
0.680 0.178 0.750
0.822 0.502 0.750
0.839 0.355 0.561
0.839 0.355 0.939
0.007 0.637 0.250
0.040 0.335 0.078
0.040 0.335 0.422
0.295 0.960 0.078
0.295 0.960 0.422
0.333 0.667 0.603
0.333 0.667 0.897
0.335 0.295 0.578
0.335 0.295 0.922
0.363 0.370 0.250
0.370 0.007 0.750
0.630 0.993 0.250
0.637 0.630 0.750
0.665 0.705 0.078
0.665 0.705 0.422
0.667 0.333 0.103
0.667 0.333 0.397
0.705 0.040 0.578
0.705 0.040 0.922
0.960 0.665 0.578
0.960 0.665 0.922
0.993 0.363 0.750
```



Starting from the PBE geometry in Alexandria, the powder X-ray diffraction pattern of Mo3Se4 was simulated for a wavelength of 1.5418 Å.
Intensities are scaled so that the largest is 100.

Top 10 peaks for 2θ = 15–90°, sorted by position:
two_theta  intensity
31.50  19
34.60  100
35.44  22
39.26  36
39.37  34
40.49  20
40.65  24
49.50  36
52.55  16
55.79  21

Crystal structure
```
Mo3Se4
1.0
3.296 0.000 0.000
-0.031 9.061 0.000
-1.618 -3.795 10.496
Mo Se
6 8
Direct
0.008 0.175 0.014
0.213 0.383 0.426
0.427 0.970 0.851
0.573 0.030 0.149
0.787 0.617 0.574
0.992 0.825 0.986
0.165 0.071 0.335
0.213 0.661 0.422
0.391 0.669 0.784
0.446 0.271 0.885
0.554 0.729 0.115
0.609 0.331 0.216
0.787 0.339 0.578
0.835 0.929 0.665
```



Starting from the PBE geometry in Alexandria, the powder X-ray diffraction pattern of Mo9Se11 was simulated for a wavelength of 1.5418 Å.
Intensities are scaled so that the largest is 100.

Top 10 peaks for 2θ = 15–90°, sorted by position:
two_theta  intensity
28.11  45
31.25  40
38.67  84
40.57  68
44.18  33
44.42  100
44.96  52
45.37  28
51.07  22
53.18  22

Crystal structure
```
Mo9Se11
1.0
6.048 -6.666 0.000
6.048 6.666 0.000
0.000 0.000 11.168
Mo Se
18 22
Direct
0.018 0.600 0.630
0.018 0.600 0.870
0.147 0.853 0.750
0.193 0.428 0.750
0.322 0.678 0.628
0.322 0.678 0.872
0.400 0.982 0.630
0.400 0.982 0.870
0.428 0.193 0.250
0.572 0.807 0.750
0.600 0.018 0.130
0.600 0.018 0.370
0.678 0.322 0.128
0.678 0.322 0.372
0.807 0.572 0.250
0.853 0.147 0.250
0.982 0.400 0.130
0.982 0.400 0.370
0.087 0.627 0.250
0.135 0.220 0.250
=====

5